#NaNoForItsuki: Prep! I.III Creating Characters

Creating a cast of characters with enough depth, personality, and complexity to be believable without overwhelming yourself - and your readers - is one of the most difficult tasks of writing. How do you develop a lead that your readers will care about, invest in, and love (or hate!) enough to want to read about them?

Of course, you don’t want them to be too shallow, or one dimensional - unless, that’s like, their “thing” and their lack of growth and dynamic personality is intentional.

And you don’t want them to be “too perfect.” No one wants a Mary Sue or Gary Stu. But they can be special, right? I mean, maybe their unprecedented something-or-other is what the whole story is about in the first place.

There are a million and a half articles out there about creating believable characters, such as this one, or this one.

(Do the authors of these articles have any credibility? Who knows!)

Author Randy Ribay wrote an article about the topic of character creation that really resonated with me for a couple of reasons. You can read his words directly here.

Now, it’s short, but he offers a few right-to-the-point questions for you to ask yourself about the people you are populating your fictional world with. One thing he said about character writing that caught my attention is that personality profiles and character sheets don’t really work for him.

For some people, that’s the standard. Like our PRSFNE character sheets, it can sometimes be very helpful to get a little profile put together to help you begin to frame the personality and lifestyle of your characters.

Who are they? Where did they come from? Who do they know? These kinds of questions will help you build the skeleton of that person’s perspective, their frame of view, and give you some insight about what kinds of decisions they might make and how they react to different situations that you intend to put them in.

A tip - I cannot for the life of me remember who said it, or when I heard it, but it works - that I have been using for years is this: steal. There are seven billion humans on the face of this Earth, each with distinct and sometimes even interesting personalities. If creating a person from thin air isn’t your thing, or if you’re struggling, use someone you know. For every character you create, put the heart of a real person inside them.

What are some useful tricks you use when you’re trying to come up with a believable cast of characters for your work? What are some struggles you face?

If you’re struggling, or feeling brave and want to inspire everyone, comment below with an example of a character you’ve created that did/didn’t work well or that you were proud of.

Looking forward to this with all of you!



MC of what I plan on working on is basically me with a lot of swearing (and probably some other differences, but definitely lots more swearing).


You know, this line really got me thinking (in a good way, as most of your posts have on this topic.)

**Inserted here: records of crystals:**
┌──
Entry 1:
PBE-GGA AlSnO3, optimized geometry; space-group type = P6_3/mmc, No. 194; DFT formation energy = -2.014 eV/atom; volume = 12.7 A^3/atom; total moment = 0.01 Bohr magnetons per cell
1.0
0.087 1.588 3.042
-2.995 -0.456 -1.613
-1.435 -10.965 5.764
O Sn Al
6 2 2
Direct
0.667 0.333 0.568
0.000 0.000 0.750
0.333 0.667 0.068
0.667 0.333 0.932
0.000 0.000 0.250
0.333 0.667 0.432
0.667 0.333 0.750
0.333 0.667 0.250
0.000 0.000 0.000
0.000 0.000 0.500

Entry 2:
PBE-GGA AlSnO3, optimized geometry; space-group type = P6_3cm, No. 185; DFT formation energy = -2.242 eV/atom; volume = 11.9 A^3/atom; total moment = 0.32 Bohr magnetons per cell
1.0
-2.241 -3.489 -4.010
0.780 -1.920 5.384
-11.346 3.829 3.009
Al O Sn
6 18 6
Direct
0.333 0.667 0.771
0.333 0.667 0.271
0.667 0.333 0.771
0.000 0.000 0.232
0.000 0.000 0.732
0.667 0.333 0.271
0.000 0.000 0.879
0.000 0.455 0.842
0.545 0.000 0.342
0.299 0.000 0.183
0.455 0.000 0.842
0.000 0.299 0.183
0.455 0.455 0.342
0.299 0.299 0.683
0.000 0.545 0.342
0.333 0.667 0.028
0.000 0.701 0.683
0.667 0.333 0.028
0.667 0.333 0.528
0.333 0.667 0.528
0.701 0.000 0.683
0.000 0.000 0.379
0.701 0.701 0.183
0.545 0.545 0.842
0.000 0.700 0.497
0.300 0.000 0.997
0.000 0.300 0.997
0.300 0.300 0.497
0.700 0.700 0.997
0.700 0.000 0.497

What did the first record say?
PBE-GGA AlSnO3, optimized geometry; space-group type = P6_3/mmc, No. 194; DFT formation energy = -2.014 eV/atom; volume = 12.7 A^3/atom; total moment = 0.01 Bohr magnetons per cell
1.0
0.087 1.588 3.042
-2.995 -0.456 -1.613
-1.435 -10.965 5.764
O Sn Al
6 2 2
Direct
0.667 0.333 0.568
0.000 0.000 0.750
0.333 0.667 0.068
0.667 0.333 0.932
0.000 0.000 0.250
0.333 0.667 0.432
0.667 0.333 0.750
0.333 0.667 0.250
0.000 0.000 0.000
0.000 0.000 0.500

----------

[1]
A plane-wave DFT calculation with r2SCAN was carried out for a geometry-optimized Cs3Bi2Br9 structure.

```
14
Lattice="8.014 0.000 0.000 -4.007 6.940 0.000 0.000 0.000 9.945" Properties=species:S:1:pos:R:3 pbc="T T T"
Cs 0.000 0.000 0.000
Cs 0.000 4.627 3.354
Cs 4.007 2.313 6.591
Bi 0.000 4.627 8.060
Bi 4.007 2.313 1.885
Br -2.004 3.470 0.000
Br 0.000 2.317 6.588
Br -2.000 5.782 6.588
Br 2.007 1.159 3.357
Br 4.007 0.000 0.000
Br 2.004 3.470 0.000
Br 2.000 5.782 6.588
Br 6.007 1.159 3.357
Br 4.007 4.623 3.357
```

Summary:
DFT formation energy = -1.428 eV/atom
total DFT energy (no corrections) = -23.69 eV per atom
space-group type = P-3m1

---

[2]
A plane-wave DFT calculation with r2SCAN was carried out for a geometry-optimized LuZn2 structure.

```
6
Lattice="-2.183 3.402 3.736 2.183 -3.402 3.736 2.183 3.402 -3.736" Properties=species:S:1:pos:R:3 pbc="T T T"
Lu 0.000 1.701 0.204
Lu 2.183 1.701 3.532
Zn 2.183 -0.275 1.241
Zn 2.183 3.127 -1.241
Zn 0.000 0.275 4.977
Zn 0.000 3.677 2.496
```

Summary:
DFT formation energy = -0.436 eV/atom
total DFT energy (no corrections) = -19.07 eV per atom
space-group type = Imma

---

[3]
└──

At no point in setting up for this did it ever occur to me that anyone else would ever read this story. I just figured I was doing a creative writing exercise for any number of reasons. Team building exercise with you guys, challenge to myself, attempt to increase my creativity, etc. But, trying to write someone that someone would WANT to read…never occurred to me.

Is that unusual? In your experience do people actually try to write something that would be widely read? Or is it more of an exercise? Or can it be both?

I’m just curious.


I mainly write to please myself, and if I like it enough I might share and see what can be adjusted.

Edit to add: one of my classmates from college was kind enough to give me a bunch of notes on the NaNo I’m going to try writing the sequel for when I asked for a beta read. It was the first one I felt could go beyond my own personal stash of reading material.

Edit #2: I found the best bit from her notes.


For myself (speaking again from my own motivation and experience, although I know that many people differ) having others’ feedback on my work helps me to learn and grow as a writer. It expands my creativity and tests my ability to take criticism, to expand my perspective, and think critically about my own work. And I enjoy that. I need it because it makes me better.

== Inserted here: calculated crystals ==
~~~
Record 1
The following is a GGA+U calculation of a relaxed structure of BaCaNdMnO6, from Materials Project.

The structure in POSCAR format:
```
BaCaNdMnO6
1.0
-1.1339 1.9005 -5.3691
-2.7853 -3.4316 -3.7672
-5.4600 1.2240 -1.5544
Mn Nd Ba O Ca
1 1 1 6 1
Direct
0.5000 0.5000 0.5000
0.2500 0.2500 0.2500
0.7500 0.7500 0.7500
0.2688 0.7312 0.2688
0.7312 0.7312 0.2688
0.7312 0.2688 0.7312
0.2688 0.7312 0.7312
0.7312 0.2688 0.2688
0.2688 0.2688 0.7312
0.0000 0.0000 0.0000
```

Computed properties:
Its crystal system is cubic.

Record 2
The following is a GGA+U calculation of a relaxed structure of BaCaNdMnO6, from Materials Project.

The structure in POSCAR format:
```
BaCaNdMnO6
1.0
0.0000 -4.2059 -4.2059
4.2059 0.0000 -4.2059
4.2059 -4.2059 0.0000
O Ca Nd Mn Ba
6 1 1 1 1
Direct
0.7724 0.2276 0.2276
0.2276 0.7724 0.7724
0.2276 0.7724 0.2276
0.7724 0.2276 0.7724
0.2276 0.2276 0.7724
0.7724 0.7724 0.2276
0.2500 0.2500 0.2500
0.5000 0.5000 0.5000
0.0000 0.0000 0.0000
0.7500 0.7500 0.7500
```

Computed properties:
Its crystal system is cubic.

Record 3
The following is a GGA+U calculation of a relaxed structure of BaSrCaMnO6, from Materials Project.

The structure in POSCAR format:
```
BaSrCaMnO6
1.0
0.4933 -0.0209 -5.8697
-3.6582 -3.2778 -3.2514
-4.1235 2.5940 -3.3114
O Ca Sr Ba Mn
6 1 1 1 1
Direct
0.7291 0.7291 0.2709
0.7291 0.2709 0.7291
0.2709 0.7291 0.7291
0.7291 0.2709 0.2709
0.2709 0.2709 0.7291
0.2709 0.7291 0.2709
0.0000 0.0000 0.0000
0.2500 0.2500 0.2500
0.7500 0.7500 0.7500
0.5000 0.5000 0.5000
```

Computed properties:
Its crystal system is cubic.

ΔE_f across the listed records, respectively: -2568, -2568, -2384 kJ/mol of formula units.
E (MP2020) across the listed records, respectively: -74.15, -74.16, -69.18 eV per formula unit.
~~~

Personally… I write because I love it, it brings me fulfillment and joy. I have a small number of friends and family who are usually very interested in what I write. But I write with this constant thought in my mind, “Would this make people feel things?” Is this conveying the ideas that inspired it? Is it giving life to the emotions and concepts that made me want to write it?

So although I write for myself without any serious idea that a large number of people will read it, when I create a story, I do it with that mentality “Will anyone want to read about this?”

• Data records that have nothing to do with the article:
'''
Entry 1:
! PBE Na5Al2Zn2P3S3O24, optimized geometry; values from VASP
&SYSTEM
  ibrav = 0, nat = 117, ntyp = 6
/
ATOMIC_SPECIES
Na 22.99 Na.upf
Al 26.98 Al.upf
Zn 65.41 Zn.upf
P 30.97 P.upf
S 32.06 S.upf
O 16.00 O.upf
ATOMIC_POSITIONS angstrom
Na 0.000 0.000 0.000
Na 0.156 0.365 10.800
Na 1.722 2.950 16.167
Na 3.327 5.080 12.770
Na 2.963 0.390 12.577
Na 4.503 2.785 3.585
Na 6.074 5.421 9.023
Na 7.336 7.686 19.785
Na 4.675 2.630 14.434
Na 6.174 5.110 16.231
Na 7.667 7.472 5.570
Na 7.308 2.791 5.339
Na 6.051 0.225 1.827
Na 9.179 5.479 18.047
Na 9.139 5.202 7.259
Al 4.449 7.567 3.317
Al 4.618 7.732 14.120
Al 4.540 2.663 17.711
Al 4.536 2.508 6.878
Al 8.862 5.165 10.536
Al 8.992 5.263 21.318
Zn 4.418 7.735 18.479
Zn 4.508 7.604 7.603
Zn 4.492 2.628 11.218
Zn 4.635 2.445 0.433
Zn 8.857 5.047 4.005
Zn 8.920 5.269 14.837
P 3.305 5.504 16.306
P 5.693 5.335 5.535
P 7.136 7.843 16.379
P 3.309 0.315 9.138
P 6.322 5.224 12.734
P 5.819 0.481 20.009
P 7.692 2.738 1.945
P 10.678 7.640 5.497
P 10.087 2.939 12.743
S 1.490 2.220 5.500
S 3.137 4.792 9.117
S 2.012 2.884 19.934
S 5.931 4.978 19.899
S 7.453 7.237 1.874
S 7.118 2.646 9.094
S 10.268 7.423 12.687
S 7.580 2.338 16.328
S 11.446 5.039 1.879
O 3.696 6.154 8.977
O 1.134 1.700 19.833
O 3.946 6.195 15.037
O 1.217 1.316 4.334
O 2.831 3.041 18.670
O 3.506 3.911 7.970
O 3.718 4.285 10.384
O 3.574 3.888 1.701
O 2.869 2.693 12.601
O 2.878 2.698 21.098
O 5.070 6.112 4.341
O 1.831 0.462 15.133
O 2.991 2.262 5.609
O 5.467 6.562 12.812
O 6.142 7.691 9.027
O 4.067 4.106 16.436
O 5.971 7.267 2.009
O 5.443 6.375 19.819
O 6.299 7.675 17.653
O 5.617 6.158 6.831
O 5.001 3.933 5.677
O 3.620 1.565 16.473
O 5.340 4.416 21.106
O 3.560 1.075 10.433
O 3.621 1.015 1.746
O 5.354 4.041 12.577
O 5.599 4.174 18.671
O 3.888 1.055 7.882
O 7.786 6.393 0.681
O 7.268 5.439 11.503
O 7.087 5.069 14.041
O 8.093 6.698 3.100
O 7.218 5.098 5.359
O 8.027 6.607 16.234
O 5.083 1.250 18.846
O 6.232 2.833 7.871
O 7.438 5.038 20.001
O 5.437 1.366 5.610
O 8.362 6.490 9.227
O 6.157 2.521 1.826
O 5.376 1.183 12.517
O 6.084 2.441 16.458
O 6.316 2.508 10.304
O 5.574 1.202 21.337
O 7.913 3.934 9.173
O 9.438 6.676 20.100
O 9.650 6.909 13.917
O 7.923 3.474 3.261
O 9.701 6.459 5.352
O 8.100 3.719 16.184
O 8.291 3.519 0.740
O 9.984 6.515 11.526
O 7.211 0.271 4.222
O 7.869 1.495 15.136
O 8.017 1.506 8.966
O 11.502 7.482 6.750
O 8.212 1.819 17.545
O 11.679 7.899 19.838
O 9.500 3.714 11.532
O 10.516 5.258 0.711
O 11.761 7.461 12.804
O 8.363 1.306 2.013
O 10.556 5.212 16.170
O 10.405 4.846 9.207
O 9.937 4.126 20.039
O 9.719 3.578 5.339
O 9.962 3.767 14.026
O 10.698 4.879 3.126
O 9.400 1.536 12.863
O 12.254 6.319 1.952
O 9.645 1.682 6.730
O 12.258 6.317 17.553
CELL_PARAMETERS angstrom
8.752 0.000 0.000
4.360 7.599 0.000
0.080 0.372 21.641
! **Total energy after the MP2020 corrections**: -257.739 eV/f.u.
! **Energy**: -6.19 eV/atom
! **Magnetization**: 0.00 μB/cell
! **Formation enthalpy at 0 K**: -2.4030 eV per atom

Entry 2:
'''

Most people, I think, write for its own sake. But with this notion that someday, someone may read it - and enjoy it, or not. It’s part of the reason why some people will give up partway through. Because they don’t think it’s worth reading, and therefore not worth writing. Whether that’s flawed or not, most of the people I know who write struggle with that.

All this was a long, roundabout way of answering your question. It can be both, and I think for many people - when it comes to NaNoWriMo in particular - it is both. (Especially for people trying to build discipline in writing.)


Been outlining my characters today, it can be hard, but I am enjoying watching the little things start to reveal themselves.
I am not even close to being done, I have so many characters to work on and see where they go, but it’s interesting for me to figure out where they have been. It kinda feels like they had a life before me, which is pretty awesome.
Hope everyone is having as much fun with prep work as I am!